The Doctor And The CEO

Chapter 191 - Two Crazy Men

"Wait what?" Matt shouted in excitement and stood up from his seat.

Data records that have nothing to do with the text:
┌──
# FeCoReNi (PBE, optimized geometry)
# Energy of formation from the pure elements ... 0.151 eV per atom
# Crystal system ... cubic
# Symmetry ... F-43m
# Theoretical density ... 12.60 Mg/m³
data_FeCoReNi
_symmetry_space_group_name_H-M 'P 1'
_symmetry_Int_Tables_number 1
_cell_length_a 4.062
_cell_length_b 4.062
_cell_length_c 4.062
_cell_angle_alpha 60.00
_cell_angle_beta 60.00
_cell_angle_gamma 60.00
loop_
_symmetry_equiv_pos_as_xyz
'x,y,z'
loop_
_atom_site_label
_atom_site_fract_x
_atom_site_fract_y
_atom_site_fract_z
Fe1 0.750 0.750 0.750
Ni1 0.000 0.000 0.000
Re1 0.500 0.500 0.500
Co1 0.250 0.250 0.250



# Fe2CoReNi (PBE, optimized geometry)
# Energy of formation from the pure elements ... 1.835 eV per atom
# Crystal system ... tetragonal
# Symmetry ... P4/mmm
# Theoretical density ... 9.35 Mg/m³
data_Fe2CoReNi
_symmetry_space_group_name_H-M 'P 1'
_symmetry_Int_Tables_number 1
_cell_length_a 4.117
_cell_length_b 4.355
_cell_length_c 4.117
_cell_angle_alpha 90.00
_cell_angle_beta 90.00
_cell_angle_gamma 90.00
loop_
_symmetry_equiv_pos_as_xyz
'x,y,z'
loop_
_atom_site_label
_atom_site_fract_x
_atom_site_fract_y
_atom_site_fract_z
Re1 0.000 0.500 0.000
Ni1 0.000 0.000 0.000
Fe1 0.000 0.000 0.500
Fe2 0.500 0.000 0.000
Co1 0.500 0.500 0.500



# FeCoNiRu (PBE, optimized geometry)
# Energy of formation from the pure elements ... 0.216 eV per atom
# Crystal system ... cubic
# Symmetry ... F-43m
# Theoretical density ... 9.22 Mg/m³
data_FeCoNiRu
_symmetry_space_group_name_H-M 'P 1'
_symmetry_Int_Tables_number 1
_cell_length_a 4.119
_cell_length_b 4.119
_cell_length_c 4.119
_cell_angle_alpha 60.00
_cell_angle_beta 60.00
_cell_angle_gamma 60.00
loop_
_symmetry_equiv_pos_as_xyz
'x,y,z'
loop_
_atom_site_label
_atom_site_fract_x
_atom_site_fract_y
_atom_site_fract_z
Ni1 0.750 0.750 0.750
Co1 0.000 0.000 0.000
Fe1 0.500 0.500 0.500
Ru1 0.250 0.250 0.250



# FeCoNi4S8 (PBE, optimized geometry)
# Crystal system ... cubic
# Formation energy from raw total energies ... -372 meV per atom
# Symmetry ... F-43m
# Theoretical density ... 4.87 Mg/m³
data_FeCoNi4S8
_symmetry_space_group_name_H-M 'P 1'
_symmetry_Int_Tables_number 1
_cell_length_a 6.635
_cell_length_b 6.635
_cell_length_c 6.635
_cell_angle_alpha 60.00
_cell_angle_beta 60.00
_cell_angle_gamma 60.00
loop_
_symmetry_equiv_pos_as_xyz
'x,y,z'
loop_
_atom_site_label
_atom_site_fract_x
_atom_site_fract_y
_atom_site_fract_z
S1 0.119 0.119 0.643
S2 0.119 0.643 0.119
S3 0.643 0.119 0.119
S4 0.630 0.630 0.630
S5 0.119 0.119 0.119
S6 0.630 0.630 0.110
S7 0.110 0.630 0.630
S8 0.630 0.110 0.630
Co1 0.250 0.250 0.250
Ni1 0.875 0.375 0.875
Ni2 0.875 0.875 0.375
Ni3 0.375 0.875 0.875
Ni4 0.875 0.875 0.875
Fe1 0.500 0.500 0.500



# Sc2Fe2Co5Ni (PBE, optimized geometry)
# Energy of formation from the pure elements ... -0.024 eV per atom
# Crystal system ... tetragonal
# Symmetry ... P4/mbm
# Theoretical density ... 6.97 Mg/m³
data_Sc2Fe2Co5Ni
_symmetry_space_group_name_H-M 'P 1'
_symmetry_Int_Tables_number 1
└──

"Jack is a college friend of mine, so I invited him to the housewarming"

"Fuck, I didn\'t know you are friends with Jack Nolan and college friend? He was studying medicine?" Nick was a huge fan of Jack\'s work and he excitedly asked Daniel.

"Yeah" Daniel confirmed it.

"Oh yeah, I was told that Jack is a senior of mine who dropped medicine, initially I thought they were rumors and I never bothered about it later" Emily too studied from the same place as Daniel so she shared what she knew.

These calculated crystals were left in the text by mistake:
Record 1
## AgAs (PBE)

Data for a relaxed structure of AgAs.

It has space group P-1 (No. 2), with a = 4.468 Å, b = 4.489 Å, c = 4.685 Å, α = 108.75°, β = 97.65° and γ = 106.79°. The inequivalent atoms are Ag at (0.206, 0.008, 0.293) and As at (0.314, 0.558, 0.819).

The value obtained for the formation energy is 160 meV per atom. For the spin magnetization, the calculation gives 0.00 μB per cell. The value obtained for the energy above the most stable polymorph in this dataset is 0.051 eV/atom. As for the total energy: -14.363 eV/cell. The value obtained for the density of states at the Fermi level is 0.8 states/eV/f.u. The volume comes out at 20.63 Å³ per atom.

=====

Record 2
## AgAs3 (PBE)

Data for a relaxed structure of AgAs3.

It has space group C2/m (No. 12), with a = 11.352 Å, b = 3.018 Å, c = 5.174 Å, α = 90.00°, β = 115.98° and γ = 90.00°. The inequivalent atoms are Ag at (0.000, 0.000, 0.000), As at (0.000, 0.500, 0.500) and As at (0.243, 0.000, 0.700).

The value obtained for the formation energy is 354 meV per atom. For the spin magnetization, the calculation gives 0.00 μB per cell. The value obtained for the energy above the most stable polymorph in this dataset is 0.224 eV/atom. As for the total energy: -30.768 eV/cell. The value obtained for the density of states at the Fermi level is 1.7 states/eV/f.u. The volume comes out at 19.92 Å³ per atom.

=====

Record 3
## Ag3As5 (PBE)

Data for a relaxed structure of Ag3As5.

It has space group Cmmm (No. 65), with a = 7.513 Å, b = 8.018 Å, c = 5.157 Å, α = 90.00°, β = 90.00° and γ = 90.00°. The inequivalent atoms are Ag at (0.000, 0.000, 0.000), Ag at (0.000, 0.189, 0.500), As at (0.000, 0.500, 0.000), As at (0.182, 0.500, 0.500) and As at (0.250, 0.250, 0.000).

The value obtained for the formation energy is 310 meV per atom. For the spin magnetization, the calculation gives 0.00 μB per cell. The value obtained for the energy above the most stable polymorph in this dataset is 0.062 eV/atom. As for the total energy: -58.639 eV/cell. The value obtained for the density of states at the Fermi level is 2.9 states/eV/f.u. The volume comes out at 19.42 Å³ per atom.

=====

Record 4
## Ag2As (PBE)

Data for a relaxed structure of Ag2As.

It has space group I4_1/amd (No. 141, origin choice 2), with a = 4.156 Å, b = 4.156 Å, c = 25.577 Å, α = 90.00°, β = 90.00° and γ = 90.00°. The inequivalent atoms are Ag at (0.000, 0.250, 0.124), Ag at (0.000, 0.250, 0.290) and As at (0.000, 0.250, 0.798).

The value obtained for the formation energy is 132 meV per atom. For the spin magnetization, the calculation gives 0.00 μB per cell. The value obtained for the energy above the most stable polymorph in this dataset is 0.015 eV/atom. As for the total energy: -79.645 eV/cell. The value obtained for the density of states at the Fermi level is 1.2 states/eV/f.u. The volume comes out at 18.41 Å³ per atom.

=====

Record 5
## AgAs3 (PBE)

Data for a relaxed structure of AgAs3.

"Man, Jack is so smart, he got into Cambridge and rejected it. He is my man" Nick lifted his beer bottle.

"Guys, just a small request, don\'t make them feel uncomfortable, please" Daniel requested all the excited kids as he already saw how Rachel acted when she met them. So, Daniel was worried about his poor friends.

"Danny, please, don\'t make such rules" Jessica begged him as she is a huge fan of Jack and Amanda and earlier today she didn\'t get a chance to interact much with Amanda as she was very busy and now she didn\'t wish to let go of this opportunity.

"Jess, I am just saying don\'t make them uncomfortable, treat them like normal people"

"How can we treat legendary awesome people, as normal people?" Nick questioned Daniel.

"I agree with Nick" Matt supported him.

Daniel helplessly shook his head and again felt sorry for his friend.

Jimmy who freshened up too joined everyone.

"Woah, the future superstar is here" Matt cheered loudly when Jim joined them.

Jim blushed as all eyes were on him, "Guys don\'t make me so anxious, please"

"Wow, you want to be an actor and you are now blushing because of the attention you are receiving" Daniel taunted his brother.

"Yeah, receiving attention behind my back is better than on my face" Jim joked and everyone there laughed.

The doorbell rang, before Daniel could get up, Matt and Nick ran towards the door to open it.

They were in the hopes of meeting Jack and Amanda but were disappointed when they saw Lisa there.

Lisa was planning to skip this party but Daniel was her boss and he invited her so she couldn\'t avoid it as it would be equivalent to insulting him.

Also, Daniel was a good boss to Lisa so she thought to come over, stay for an hour for the sake of formality and then leave as he had good intentions for inviting her.

"Hey Lisssss" Nick tightly hugged her as he was meeting her after a long time.

"Why are you here?" she asked him as she was confused to see Nick here, also she was seeing this guy after many years.

After high school they all lost touch and they were anyway Emily\'s friends so Lisa did not stay in touch with them.

## Materials data that have nothing to do with the piece
{"formula": "Mg3Zn2In2Ag4", "functional": "PBE-GGA", "state": "optimized geometry", "cell": [[4.6645, 0.0000, 0.0000], [-2.3322, 4.0395, 0.0000], [0.0000, 0.0000, 11.3444]], "species": ["Mg", "Mg", "Mg", "Zn", "Zn", "In", "In", "Ag", "Ag", "Ag", "Ag"], "fractional_positions": [[0.0000, 0.0000, 0.7358], [0.0000, 0.0000, 0.0000], [0.0000, 0.0000, 0.2642], [0.6667, 0.3333, 0.9090], [0.3333, 0.6667, 0.0911], [0.6667, 0.3333, 0.4240], [0.3333, 0.6667, 0.5760], [0.6667, 0.3333, 0.1502], [0.3333, 0.6667, 0.8498], [0.6667, 0.3333, 0.6757], [0.3333, 0.6667, 0.3243]], "e_tot_ev_per_fu": -25.12}

"Oh, I will explain, there are more surprises, come in" Nick put his arm around her shoulders and took her inside to meet everyone else.

Matt was looking at them with a look of worry, after how he behaved with Lisa that day at the parking lot, he never dared to talk to her again as he was ashamed of his behavior towards her.

Lisa was surprised to see Kate and Rachel there and happily hugged the two women. Then they explained how they all know Daniel

"When did you come back from the States?" Lisa asked Rachel.

"Two years ago"

"Whattt? Why the hell did you not meet any one of us?" Lisa got upset with her.

"I am so sorry, was busy with work and stuff"

"I\'ll forgive you, if you promise to spend more time with me" Lisa cutely made a request and Rachel agreed to it.

"Kateee, you look so lovely" Lisa then hugged her and Kate then showed the ring on her finger and Lisa happily shouted and congratulated her.

"Are you marrying Nick or found someone else?" Lisa joked.

"You think she can find anyone better than me?" Nick sarcastically asked her.

"I am sure, if my sister wants she can find anyone, even someone better than you" Jimmy teased Nick.

Kate happily hugged Jimmy and Nick rolled his eyes.

Lisa laughed seeing them all.

Unknowingly Matt was smiling when he saw Lisa happy.

Emily too felt better seeing Lisa happy and Daniel was glad with his decision to invite her over.

Daniel then got snacks and drinks for everyone just like the perfect host.

The doorbell rang again, Matt and Nick again ran to open the door. Everyone laughed seeing the guys who were acting like enthusiastic kids.

"What is up with them?" Lisa asked seeing the two crazy men run excitedly to open the door.

"You will find out soon" Jessica answered her.

The two men again got disappointed when they opened the door.

"I have asked this question multiple times today, now I am going to ask it again, why the hell are you here?" Nick asked Patrick.

"I am Daniel\'s friend" Patrick ignored the two men and entered the house, he then gave the bottle of wine he brought for Daniel with another gift.

"I am glad you made it" Daniel was happy to see Patrick here.

"How couldn\'t I?" Patrick then turned to look at Rachel who glared at him in anger.

After that fight, Patrick didn\'t dare to call Rachel again as he was scared of her, Daniel informed him that everything was fine but he still didn\'t properly apologize to Rachel yet for hiding so many things from her.

"Are we living in a small world? Why does everyone know everyone here?" Kate surprisingly asked as Patrick too was here.

"It was through Rachel that I met Daniel" Patrick shared the partial truth.

"Thank goodness, one person met Daniel normally" Nick joked.

"Dan, when is Jack Nolan coming?" Matt impatiently asked him.

"Soon" Daniel assured him as he too was not sure when exactly they will arrive.